Quick view Add to Wishlist REMEDIA PUBLICATIONS REM5245 Life Skills Math Series, Grades 6-12 Help students fine tune essential math skills with the Remedia Publications Life Skills Math Series. All 5 books include multi-step word problems that teach students how to work with money. Set... MSRP: $66.15 Add to Cart The item has been added Compare
Here the piece breaks off for materials data:
<<<
1:
# LiTbHo, relaxed, DFT GGA-PBE
data_LiTbHo
_space_group_name_H-M_alt 'I 4 m m'
_space_group_IT_number 107
_space_group_name_Hall 'I 4 -2'
_cell_length_a 3.626
_cell_length_b 3.626
_cell_length_c 12.590
_cell_angle_alpha 90.00
_cell_angle_beta 90.00
_cell_angle_gamma 90.00
loop_
_atom_site_label
_atom_site_fract_x
_atom_site_fract_y
_atom_site_fract_z
_atom_site_occupancy
Li1 0.000 0.000 0.000 1
Tb1 0.000 0.000 0.344 1
Ho1 0.000 0.000 0.653 1
# Magnetization in μB per formula unit: 0.07
# V in Å³/atom: 27.6

=====

2:
# LiTbHo, relaxed, DFT GGA-PBE
data_LiTbHo
_space_group_name_H-M_alt 'P 3 m 1'
_space_group_IT_number 156
_space_group_name_Hall 'P 3 -2"'
_cell_length_a 3.4645
_cell_length_b 3.4645
_cell_length_c 8.3162
_cell_angle_alpha 90.00
_cell_angle_beta 90.00
_cell_angle_gamma 120.00
loop_
_atom_site_label
_atom_site_fract_x
_atom_site_fract_y
_atom_site_fract_z
_atom_site_occupancy
Li1 0.0000 0.0000 0.0000 1
Tb1 0.6667 0.3333 0.3324 1
Ho1 0.3333 0.6667 0.6710 1
# Magnetization in μB per formula unit: 0.00
# V in Å³/atom: 28.8

=====

3:
# LiTbHo, relaxed, DFT GGA-PBE
data_LiTbHo
_space_group_name_H-M_alt 'P 4/n m m'
_space_group_IT_number 129
_cell_length_a 3.587
_cell_length_b 3.587
_cell_length_c 12.827
_cell_angle_alpha 90.00
_cell_angle_beta 90.00
_cell_angle_gamma 90.00
loop_
_space_group_symop_operation_xyz
'x,y,z'
'-x,-y,-z'
'-y+1/2,x,z'
'y+1/2,-x,-z'
'-x+1/2,-y+1/2,z'
'x+1/2,y+1/2,-z'
'y,-x+1/2,z'
'-y,x+1/2,-z'
'x+1/2,-y,-z'
'-x+1/2,y,z'
'-y,-x,-z'
'y,x,z'
'-x,y+1/2,-z'
'x,-y+1/2,z'
'y+1/2,x+1/2,-z'
'-y+1/2,-x+1/2,z'
loop_
_atom_site_label
_atom_site_fract_x
_atom_site_fract_y
_atom_site_fract_z
_atom_site_occupancy
Li1 0.250 0.250 0.051 1
Tb1 0.250 0.250 0.782 1
Ho1 0.250 0.250 0.403 1
# Magnetization in μB per formula unit: 0.00
# V in Å³/atom: 27.5

=====

4:
# LiTbHo, relaxed, DFT GGA-PBE
data_LiTbHo
_space_group_name_H-M_alt 'C 1 2/m 1'
_space_group_IT_number 12
_space_group_name_Hall '-C 2y'
_cell_length_a 9.438
_cell_length_b 5.465
_cell_length_c 6.628
_cell_angle_alpha 90.00
_cell_angle_beta 90.47
_cell_angle_gamma 90.00
loop_
_atom_site_label
_atom_site_fract_x
_atom_site_fract_y
_atom_site_fract_z
_atom_site_occupancy
Li1 0.167 0.000 0.000 1
Tb1 0.167 0.000 0.500 1
Ho1 0.002 0.500 0.743 1
# Magnetization in μB per formula unit: 0.00
# V in Å³/atom: 28.5

=====

Which one sits at the top of the stability order? 3 does.

=====

1:
# LiTb2Ho, relaxed, DFT GGA-PBE
data_LiTb2Ho
_space_group_name_H-M_alt 'P 4/m m m'
_space_group_IT_number 123
_space_group_name_Hall '-P 4 2'
_cell_length_a 3.600
_cell_length_b 3.600
_cell_length_c 8.851
_cell_angle_alpha 90.00
_cell_angle_beta 90.00
_cell_angle_gamma 90.00
loop_
_atom_site_label
_atom_site_fract_x
_atom_site_fract_y
_atom_site_fract_z
_atom_site_occupancy
Li1 0.000 0.000 0.000 1
Tb1 0.500 0.500 0.226 1
Ho1 0.000 0.000 0.500 1
# Magnetization in μB per formula unit: 0.00
# V in Å³/atom: 28.7

=====

2:
# LiTb2Ho, relaxed, DFT GGA-PBE
data_LiTb2Ho
>>>
Quick view Add to Wishlist REMEDIA PUBLICATIONS Remedia Publications Bank Account Math: Life Skills Math Series BANK ACCOUNT MATHA really practical application of math. Each book includes activities such as reading comprehension, filling out forms, using a glossary, and answering math word problems. The... MSRP: $11.99 Add to Cart The item has been added Compare
Quick view Add to Wishlist REMEDIA PUBLICATIONS Remedia Publications Checkbook Math: Life Skills Math Series, Grades 6-12 CHECKBOOK MATHAfter learning how to write a check, students are challenged with real-life finance word problems. First they must solve a math question. Next they are required to write a check for the... MSRP: $9.99 Add to Cart The item has been added Compare
Quick view Add to Wishlist REMEDIA PUBLICATIONS Remedia Publications Core Reading Skills Program: Binder 1 CORE READING SKILLS PROGRAM BINDERThe Core Reading Skills Program features hundreds of ready-to-use activities designed to help struggling readers become more confident, fluent readers. This... MSRP: $65.36 Add to Cart The item has been added Compare
Quick view Add to Wishlist REMEDIA PUBLICATIONS Remedia Publications Credit Card Math: Life Skills Math Series CREDIT CARD MATHEverything you ever needed to know about credit cards—All in one book! How do I get a credit card? What is a credit score? How do I use a credit card? What is an account statement?... MSRP: $11.99 Add to Cart The item has been added Compare
Quick view Add to Wishlist REMEDIA PUBLICATIONS Remedia Publications Credit Card Math: Life Skills Math Series, Pack of 3 (3 EA) CREDIT CARD MATHEverything you ever needed to know about credit cards—All in one book! How do I get a credit card? What is a credit score? How do I use a credit card? What is an account... MSRP: $35.97 Add to Cart The item has been added Compare
Quick view Add to Wishlist REMEDIA PUBLICATIONS Remedia Publications Critical Thinking Skills, Following Directions Activity Book CRITICAL THINKING SKILLS FOLLOWINGImprove critical thinking skills and you're sure to improve reading comprehension, problem solving, writing skills and more! This book is part of the Critical... MSRP: $9.99 Add to Cart The item has been added Compare
Quick view Add to Wishlist REMEDIA PUBLICATIONS Remedia Publications Daily Literacy Activities: 19th Century American History Reading DAILY LIT 19TH CENTURY AMER HISTORYA ONE-OF-A-KIND SERIES! A unique concept using daily reading lessons to teach American history. Grab your reader's attention with exciting, easy-to-read stories... MSRP: $20.99 Add to Cart The item has been added Compare
Quick view Add to Wishlist REMEDIA PUBLICATIONS Remedia Publications Daily Literacy Activities: 20th Century American History Reading DAILY LIT 20TH CENTURY AMER HISTORYA ONE-OF-A-KIND SERIES! A unique concept using daily reading lessons to teach American history. Engaging daily lessons take students on a journey of discovery... MSRP: $20.99 Add to Cart The item has been added Compare
Quick view Add to Wishlist REMEDIA PUBLICATIONS Remedia Publications Daily Literacy Activities: American History Complete Set of 3 Titles DAILY LITERACY HISTORY SETA ONE-OF-A-KIND SERIES! A unique concept using daily reading lessons to teach American history. Includes books REM 390, 391, 392 of the Daily Literacy Activities series... MSRP: $62.97 Add to Cart The item has been added Compare
Quick view Add to Wishlist REMEDIA PUBLICATIONS Remedia Publications Daily Literacy Activities: Early American History Reading DAILY LIT EARLY AMERICAN HISTORYA ONE-OF-A-KIND SERIES! A unique concept using daily reading lessons to teach American history. Grab your reader's attention with exciting, easy-to-read stories... MSRP: $20.99 Add to Cart The item has been added Compare
Quick view Add to Wishlist REMEDIA PUBLICATIONS Remedia Publications Department Store Math Activity Book, Grades 4-8 BOOK DEPARTMENT STORE MATH GR 4 - 8From backpacks to blow dryers, nearly everything you might shop for in a discount department store can be found on the colorful, 11x17 inch fold-out price list that... MSRP: $14.99 Add to Cart The item has been added Compare
Quick view Add to Wishlist REMEDIA PUBLICATIONS Remedia Publications Drive-Thru Menu Math: Add & Subtract Money DRIVE THRU MENU MATH ADD & SUBTRACTFrom burgers to burritos, nearly everything you might order from a fast food restaurant can be found on the colorful menus included in this hands-on, practical math... MSRP: $14.99 Add to Cart The item has been added Compare
Quick view Add to Wishlist REMEDIA PUBLICATIONS Remedia Publications Drive-Thru Menu Math: Multiply & Divide Money DRIVE THRU MENU MATH MULTIPLY &An Appetizing Approach to Learning Math Skills! From burgers to burritos, nearly everything you might order from a fast food restaurant can be found on the colorful... MSRP: $14.99 Add to Cart The item has been added Compare
Quick view Add to Wishlist REMEDIA PUBLICATIONS Remedia Publications Easy Timed Math Drills: 4 Book Set EASY TIMED MATH DRILLS 4 BOOK SETImprove the speed and accuracy of beginning learners with this simplified version of our best-selling Timed Math Drills! Easy-to-read practice drills with fewer... MSRP: $39.96 Add to Cart The item has been added Compare